Request:
What is needed: copy only the lines further below with the word "vectors" in them.

File:
~~~
Record 1
Material: InNi22B6
Method: DFT, PBE
State: relaxed

## Properties
symmetry: No. 216
formation energy: -0.227 eV/atom
crystal system: cubic
excess energy over the best structure of this formula in the dataset: 0 meV/atom
size of the total moment: 0.39 μB/cell

a b c (Å): 7.399 7.399 7.399
angles (deg): 60.00 60.00 60.00
Sites, in units of the cell vectors:
1 Ni 0.002 0.661 0.002
2 Ni 0.000 0.000 0.000
3 Ni 0.250 0.250 0.250
4 Ni 0.335 0.002 0.002
5 Ni 0.611 0.611 0.611
6 Ni 0.335 0.002 0.661
7 Ni 0.002 0.335 0.661
8 Ni 0.611 0.611 0.168
9 Ni 0.661 0.002 0.002
10 Ni 0.168 0.611 0.611
11 Ni 0.002 0.002 0.661
12 Ni 0.379 0.379 0.379
13 Ni 0.002 0.002 0.335
14 Ni 0.379 0.862 0.379
15 Ni 0.611 0.168 0.611
16 Ni 0.335 0.661 0.002
17 Ni 0.002 0.335 0.002
18 Ni 0.379 0.379 0.862
19 Ni 0.661 0.335 0.002
20 Ni 0.862 0.379 0.379
21 Ni 0.002 0.661 0.335
22 Ni 0.661 0.002 0.335
23 B 0.273 0.727 0.727
24 B 0.727 0.273 0.727
25 B 0.273 0.727 0.273
26 B 0.727 0.273 0.273
27 B 0.273 0.273 0.727
28 B 0.727 0.727 0.273
29 In 0.750 0.750 0.750

***

Record 2
Material: InNi22B6
Method: DFT, PBE
State: relaxed

## Properties
symmetry: No. 225
formation energy: -0.172 eV/atom
crystal system: cubic
excess energy over the best structure of this formula in the dataset: 56 meV/atom
size of the total moment: 0.53 μB/cell

a b c (Å): 7.445 7.445 7.445
angles (deg): 60.00 60.00 60.00
Sites, in units of the cell vectors:
1 B 0.725 0.275 0.275
2 B 0.725 0.275 0.725
3 B 0.275 0.725 0.725
4 B 0.275 0.725 0.275
5 B 0.275 0.275 0.725
6 B 0.725 0.725 0.275
7 Ni 0.000 0.000 0.344
8 Ni 0.656 0.344 0.000
9 Ni 0.146 0.618 0.618
10 Ni 0.656 0.000 0.344
11 Ni 0.382 0.382 0.854
12 Ni 0.000 0.656 0.344
13 Ni 0.344 0.000 0.656
14 Ni 0.000 0.656 0.000
15 Ni 0.656 0.000 0.000
16 Ni 0.854 0.382 0.382
17 Ni 0.250 0.250 0.250
18 Ni 0.000 0.344 0.000
19 Ni 0.618 0.618 0.618
20 Ni 0.618 0.146 0.618
21 Ni 0.382 0.854 0.382
22 Ni 0.344 0.000 0.000
23 Ni 0.750 0.750 0.750
24 Ni 0.000 0.000 0.656
25 Ni 0.618 0.618 0.146
26 Ni 0.382 0.382 0.382
27 Ni 0.000 0.344 0.656
28 Ni 0.344 0.656 0.000
29 In 0.000 0.000 0.000

***

Record 3
Material: In2Ni7B
Method: DFT, PBE
State: relaxed

## Properties
symmetry: No. 123
formation energy: 0.291 eV/atom
crystal system: tetragonal
size of the total moment: 1.85 μB/cell

a b c (Å): 4.119 4.119 8.192
angles (deg): 90.00 90.00 90.00
Sites, in units of the cell vectors:
1 Ni 0.500 0.500 0.750
2 Ni 0.500 0.500 0.027
3 Ni 0.000 0.500 0.750
4 Ni 0.500 0.500 0.473
5 Ni 0.500 0.000 0.750
6 Ni 0.500 0.000 0.250
7 Ni 0.000 0.500 0.250
8 B 0.500 0.500 0.250
9 In 0.000 0.000 0.502
10 In 0.000 0.000 0.998

***

Record 4
Material: B3Ir2
Method: DFT, PBE
State: relaxed

## Properties
symmetry: No. 12
formation energy: -0.100 eV/atom
crystal system: monoclinic
size of the total moment: 0.00 μB/cell

a b c (Å): 3.117 5.477 6.250
angles (deg): 90.41 90.00 73.47
Sites, in units of the cell vectors:
1 Ir 0.103 0.794 0.852
2 Ir 0.360 0.280 0.700
3 Ir 0.897 0.206 0.148
4 Ir 0.640 0.720 0.300
5 B 0.174 0.651 0.528
6 B 0.441 0.118 0.386
7 B 0.559 0.882 0.614
8 B 0.826 0.349 0.472
9 B 0.259 0.482 0.076
10 B 0.741 0.518 0.924

***

Record 5
Material: LaB2Ir3
Method: DFT, PBE
State: relaxed

## Properties
symmetry: No. 191
formation energy: -0.650 eV/atom
crystal system: hexagonal

a b c (Å): 5.594 5.594 3.120
angles (deg): 90.00 90.00 120.00
Sites, in units of the cell vectors:
1 Ir 0.000 0.500 0.500
2 Ir 0.500 0.000 0.500
3 Ir 0.500 0.500 0.500
4 B 0.333 0.667 0.000
5 B 0.667 0.333 0.000
6 La 0.000 0.000 0.000

***

Record 6
Material: LaB4Ir4
Method: DFT, PBE
State: relaxed

## Properties
symmetry: No. 86
formation energy: -0.582 eV/atom
crystal system: tetragonal

a b c (Å): 7.747 7.747 3.991
angles (deg): 90.00 90.00 90.00
Sites, in units of the cell vectors:
1 Ir 0.841 0.610 0.393
2 Ir 0.610 0.159 0.607
3 Ir 0.390 0.841 0.607
4 Ir 0.110 0.659 0.893
5 Ir 0.890 0.341 0.893
6 Ir 0.159 0.390 0.393
7 Ir 0.341 0.110 0.107
8 Ir 0.659 0.890 0.107
~~~

Written answer:
Sites, in units of the cell vectors:
Sites, in units of the cell vectors:
Sites, in units of the cell vectors:
Sites, in units of the cell vectors:
Sites, in units of the cell vectors:
Sites, in units of the cell vectors: